(Exercise)
What is needed: give back the part of the notes underneath that starts with the line with "38.87" and stops after the one with "0.653)".
(Excerpt)
'''
Diffraction record for MgTe4Mo2W2S4. The powder XRD pattern is computed, not measured: it uses a crystal structure in the Materials Project, relaxed with GGA-PBE and Cu Kα (weighted mean of Kα1 and Kα2).
Intensities are scaled so that the largest is 100.

Top 8 peaks for 2θ from 15° to 90°, in order of rising 2θ:
Position (°2θ)  d_spacing  I/Imax
30.71  2.911  41
32.91  2.721  17
33.84  2.649  21
36.12  2.487  100
38.87  2.317  36
43.74  2.070  46
54.59  1.681  29
67.22  1.393  16

Cell and atoms:
Unit cell a=3.362 b=3.362 c=38.247 alpha=90.00 beta=90.00 gamma=120.00
Sites, in units of the cell vectors:
Mg (0.000, 0.000, 0.000)
Te (0.009, 0.968, 0.167)
Te (0.009, 0.968, 0.266)
Te (0.342, 0.635, 0.731)
Te (0.342, 0.635, 0.830)
Mo (0.009, 0.968, 0.405)
Mo (0.342, 0.635, 0.592)
W (0.009, 0.968, 0.780)
W (0.342, 0.635, 0.217)
S (0.009, 0.968, 0.553)
S (0.009, 0.968, 0.632)
S (0.342, 0.635, 0.365)
S (0.342, 0.635, 0.444)

Diffraction record for MgTe4Mo2WS2. The powder XRD pattern is computed, not measured: it uses a crystal structure in the Materials Project, relaxed with GGA-PBE and Cu Kα (weighted mean of Kα1 and Kα2).
Intensities are scaled so that the largest is 100.

Top 8 peaks for 2θ from 15° to 90°, in order of rising 2θ:
Position (°2θ)  d_spacing  I/Imax
30.27  2.952  63
30.81  2.902  30
34.84  2.575  80
36.36  2.471  100
39.90  2.260  47
41.88  2.157  29
43.98  2.059  66
53.79  1.704  49

Cell and atoms:
Unit cell a=3.409 b=3.409 c=31.598 alpha=90.00 beta=90.00 gamma=60.00
Sites, in units of the cell vectors:
Mg (0.000, 0.000, 0.000)
Te (0.542, 0.542, 0.206)
Te (0.542, 0.542, 0.325)
Te (0.542, 0.542, 0.669)
Te (0.542, 0.542, 0.787)
Mo (0.208, 0.208, 0.728)
Mo (0.542, 0.542, 0.497)
W (0.208, 0.208, 0.265)
S (0.208, 0.208, 0.449)
S (0.208, 0.208, 0.544)

Diffraction record for MgTe2Mo2WS4. The powder XRD pattern is computed, not measured: it uses a crystal structure in the Materials Project, relaxed with GGA-PBE and Cu Kα (weighted mean of Kα1 and Kα2).
Intensities are scaled so that the largest is 100.

Top 8 peaks for 2θ from 15° to 90°, in order of rising 2θ:
Position (°2θ)  d_spacing  I/Imax
31.32  2.856  59
31.46  2.844  42
33.54  2.672  34
36.14  2.485  100
37.75  2.383  97
41.49  2.177  34
45.80  1.981  59
55.76  1.648  57

Cell and atoms:
Unit cell a=3.298 b=3.298 c=30.253 alpha=90.00 beta=90.00 gamma=60.00
Sites, in units of the cell vectors:
Mg (0.000, 0.000, 0.000)
Te (0.972, 0.904, 0.653)
Te (0.972, 0.904, 0.780)
Mo (0.638, 0.571, 0.716)
Mo (0.972, 0.904, 0.485)
W (0.638, 0.571, 0.254)
S (0.638, 0.571, 0.435)
S (0.638, 0.571, 0.536)
S (0.972, 0.904, 0.203)
S (0.972, 0.904, 0.305)

Q: Number 2 is which compound?
A: MgTe4Mo2WS2

----------

[1]
This entry pairs a crystal structure of V3Te4I2 with its simulated powder diffraction line list. Radiation: a wavelength of 1.5418 Å. Structure: the GGA-PBE geometry in Alexandria.
Kinematic intensities with the Lorentz-polarization factor, no thermal factor.

Principal peaks in the range 2θ = 10–90°, in order of falling intensity:
d_spacing	two_theta	I/Imax
2.592	34.61	100
3.153	28.31	75
2.112	42.82	65
7.585	11.67	53
1.820	50.11	52
3.792	23.46	51

Structure:
```
9
Lattice="3.641 0.000 0.000 -1.820 3.153 0.000 0.000 0.000 22.755" Properties=species:S:1:pos:R:3 pbc="T T T"
V 0.000 0.000 0.000
V 0.000 2.102 7.349
V 0.000 2.102 15.405
Te 0.000 0.000 5.611
Te 0.000 0.000 9.088
Te 0.000 0.000 13.667
Te 0.000 0.000 17.143
I 0.000 2.102 1.771
I 0.000 2.102 20.984
```

***

[2]
This entry pairs a crystal structure of ThTl2I5 with its simulated powder diffraction line list. Radiation: a wavelength of 1.5418 Å. Structure: the GGA-PBE geometry in Alexandria.
Kinematic intensities with the Lorentz-polarization factor, no thermal factor.

Principal peaks in the range 2θ = 10–90°, in order of falling intensity:
d_spacing	two_theta	I/Imax
3.036	29.42	100
4.536	19.57	89
6.823	12.97	82
7.268	12.18	82
2.671	33.55	70
3.634	24.50	63

Structure:
```
8
'''
(Result)
38.87  2.317  36
43.74  2.070  46
54.59  1.681  29
67.22  1.393  16

Cell and atoms:
Unit cell a=3.362 b=3.362 c=38.247 alpha=90.00 beta=90.00 gamma=120.00
Sites, in units of the cell vectors:
Mg (0.000, 0.000, 0.000)
Te (0.009, 0.968, 0.167)
Te (0.009, 0.968, 0.266)
Te (0.342, 0.635, 0.731)
Te (0.342, 0.635, 0.830)
Mo (0.009, 0.968, 0.405)
Mo (0.342, 0.635, 0.592)
W (0.009, 0.968, 0.780)
W (0.342, 0.635, 0.217)
S (0.009, 0.968, 0.553)
S (0.009, 0.968, 0.632)
S (0.342, 0.635, 0.365)
S (0.342, 0.635, 0.444)

Diffraction record for MgTe4Mo2WS2. The powder XRD pattern is computed, not measured: it uses a crystal structure in the Materials Project, relaxed with GGA-PBE and Cu Kα (weighted mean of Kα1 and Kα2).
Intensities are scaled so that the largest is 100.

Top 8 peaks for 2θ from 15° to 90°, in order of rising 2θ:
Position (°2θ)  d_spacing  I/Imax
30.27  2.952  63
30.81  2.902  30
34.84  2.575  80
36.36  2.471  100
39.90  2.260  47
41.88  2.157  29
43.98  2.059  66
53.79  1.704  49

Cell and atoms:
Unit cell a=3.409 b=3.409 c=31.598 alpha=90.00 beta=90.00 gamma=60.00
Sites, in units of the cell vectors:
Mg (0.000, 0.000, 0.000)
Te (0.542, 0.542, 0.206)
Te (0.542, 0.542, 0.325)
Te (0.542, 0.542, 0.669)
Te (0.542, 0.542, 0.787)
Mo (0.208, 0.208, 0.728)
Mo (0.542, 0.542, 0.497)
W (0.208, 0.208, 0.265)
S (0.208, 0.208, 0.449)
S (0.208, 0.208, 0.544)

Diffraction record for MgTe2Mo2WS4. The powder XRD pattern is computed, not measured: it uses a crystal structure in the Materials Project, relaxed with GGA-PBE and Cu Kα (weighted mean of Kα1 and Kα2).
Intensities are scaled so that the largest is 100.

Top 8 peaks for 2θ from 15° to 90°, in order of rising 2θ:
Position (°2θ)  d_spacing  I/Imax
31.32  2.856  59
31.46  2.844  42
33.54  2.672  34
36.14  2.485  100
37.75  2.383  97
41.49  2.177  34
45.80  1.981  59
55.76  1.648  57

Cell and atoms:
Unit cell a=3.298 b=3.298 c=30.253 alpha=90.00 beta=90.00 gamma=60.00
Sites, in units of the cell vectors:
Mg (0.000, 0.000, 0.000)
Te (0.972, 0.904, 0.653)